I spent last night at a genuine tiki bar in Great Falls, Montana. Live mermaids swam in a pool with a window facing out over the bar. We sat there till 2 am, watching the mermaids and hanging out with actual cowboys, grizzled, leathery old coots who talked about roping technique until last call. There's a rodeo in town tonight and there was a rhubarb festival yesterday, so excitement's running high.
Somebody's guts exploded in the men's room, and most of it made it into the bowl. The mess was not of this earth, as though someone had painted a pentagram on the men's room floor and conjured an invisible demon. Still, it made for a pretty good icebreaker and really made for a great bonding experience between cowboys and a city slicker like me.
Yesterday morning a black bear shuffled right up to out car and gobbled grass and flowers like a team of wild sheep. A real black bear, not the kind you see in Dupont Circle.
I've just downed a boiled egg sandwich at a video slot machine, sitting next to a woman who is paying her tab "berfore I spend all my money on the Keno." It is 9:30 AM. I'm sipping some watery watery espresso sloooowly so as not to upset the delicate balance in my stomach. We did not stay up until closing time playing Go Fish with those cowboys.
_Unrelated to this piece: calculated molecules_
/*
ORCA calculation (ωB97M-V/def2-TZVPD) on an isolated molecule of C3H5NO2 in a non-equilibrium geometry.

Results
* calculated total energy: -322.5154 a.u.
* structure (SMILES): O=C(O)[C@@H]1CN1
* orbital gap: 11.246 eV

```
11
Properties=species:S:1:pos:R:3:nbo_charge:R:1
C 0.81 0.02 -1.16 0.76
C -0.11 0.59 -0.20 -0.21
C -0.11 0.16 1.20 -0.23
H 0.22 -1.82 -0.88 0.49
H -0.36 1.60 -0.41 0.24
H -0.32 0.91 1.94 0.20
H 0.58 -0.62 1.65 0.21
H -2.05 0.17 0.61 0.37
N -1.19 -0.34 0.38 -0.59
O 0.96 -1.35 -1.27 -0.68
O 1.57 0.68 -1.86 -0.55
```

ORCA calculation (ωB97M-V/def2-TZVPD) on an isolated molecule of C5H10O2.

Results
* calculated total energy: -346.9336 a.u.
* structure (SMILES): OCCC1COC1
* orbital gap: 10.605 eV

```
17
Properties=species:S:1:pos:R:3:nbo_charge:R:1
O 2.14 -0.64 1.28 -0.72
C 1.91 -0.34 -0.09 -0.07
C 0.50 -0.79 -0.52 -0.43
C -0.55 0.31 -0.59 -0.26
C -2.01 -0.16 -0.45 -0.05
O -2.20 0.59 0.76 -0.53
C -0.85 1.08 0.71 -0.06
H 1.89 0.12 1.82 0.47
H 2.66 -0.90 -0.64 0.18
H 2.07 0.72 -0.30 0.16
H 0.22 -1.53 0.24 0.22
H 0.54 -1.31 -1.48 0.21
H -0.38 0.97 -1.45 0.20
H -2.13 -1.24 -0.29 0.17
H -2.71 0.17 -1.24 0.17
H -0.82 2.18 0.64 0.17
H -0.27 0.76 1.59 0.16
```

ORCA calculation (ωB97M-V/def2-TZVPD) on an isolated molecule of C5H8N2O in a non-equilibrium geometry.

Results
* calculated total energy: -379.8785 a.u.
* orbital gap (alpha / beta): 8.924 / 7.607 eV

```
16
Properties=species:S:1:pos:R:3:nbo_charge:R:1
C 1.28 -0.54 -0.12 -0.42
C 0.04 -1.12 -0.82 -0.48
C -0.35 1.25 -0.50 -0.51
C 0.72 0.76 0.49 -0.07
C -1.05 -0.01 -0.75 -0.06
N 0.12 0.39 1.70 -0.27
N -0.95 -0.27 1.65 0.34
O -1.72 -0.71 2.42 -0.32
H 1.85 -1.15 0.59 0.23
H 2.05 -0.44 -0.93 0.21
H 0.18 -1.30 -1.85 0.22
H -0.43 -1.92 -0.38 0.22
H -0.89 2.04 -0.08 0.23
H -0.05 1.70 -1.38 0.23
H 1.36 1.56 0.76 0.22
H -2.16 -0.23 -0.79 0.23
```

ORCA calculation (ωB97M-V/def2-TZVPD) on an isolated molecule of C4H6N2.

Results
* calculated total energy: -265.5043 a.u.
* structure (SMILES): Nc1cc[nH]c1
* orbital gap: 8.938 eV

```
12
Properties=species:S:1:pos:R:3:nbo_charge:R:1
N 1.29 1.24 1.01 -0.80
C 0.43 0.35 0.35 0.10
C -0.25 -0.70 0.88 -0.16
N -0.88 -1.41 -0.15 -0.56
C -0.56 -0.75 -1.34 -0.03
C 0.21 0.33 -1.08 -0.32
H 1.10 1.32 2.00 0.37
H 1.28 2.15 0.58 0.37
H -0.24 -1.08 1.90 0.20
H -1.90 -1.39 -0.09 0.39
H -0.99 -1.14 -2.26 0.21
H 0.51 1.10 -1.79 0.22
```

ORCA calculation (ωB97M-V/def2-TZVPD) on a cluster of 2 separate species, C4H12 in total in a non-equilibrium geometry.

Results
* calculated total energy: -159.5628 a.u.
* structure (SMILES): CC.CC
* orbital gap: 12.503 eV

```
16
Properties=species:S:1:pos:R:3:nbo_charge:R:1
C 0.09 -0.64 2.12 -0.61
C 1.02 -1.94 2.01 -0.60
H 0.56 0.21 1.63 0.20
H -0.77 -0.98 1.54 0.20
H -0.11 -0.33 3.13 0.20
H 0.55 -2.82 2.41 0.20
H 1.86 -1.67 2.67 0.20
H 1.41 -2.02 1.01 0.20
C -1.13 0.78 -1.94 -0.61
C 0.00 1.77 -2.15 -0.60
H -2.13 1.16 -2.16 0.20
H -1.16 0.09 -2.80 0.20
H -1.03 0.37 -0.94 0.21
H 0.87 1.15 -1.97 0.20
H -0.04 2.59 -1.45 0.20
*/
_The piece goes on_
I've been out of cell phone and internet range since Thursday, and it's fantastic. Won't be back 'til Wednesday, either. Call your families -- cook a nice dinner, go for a walk -- I'll be back soon enough.
Overcome With Wonder At Life's Beautiful Synchronicity
Have you ever experienced a coincidence so stunning and profound that your pores actually widen and accept in more of the world's beauty than you'd ever thought possible? Doesn't it make your ribcage just ACHE as your heart expands to encompass even more joy and love at a world so cruel, insane, hilarious and beautiful, even as your face stretches into a painful, ecstatic rictus?
If this video mashup of Prodigy's 'Smack My Bitch Up' and Tommy Seebach's 'Apache' doesn't do just that, you might as well just pull an Ian Curtis and stand on a block of ice with your neck in a noose. Jesus Pete this cracks me up...
My man Clarence used to teach history at a juvenile correctional facility in Richmond, VA. He's got all kinds of stories and all kinds of weird connection all over the state now. He's definitely the only white guy I can think of who looks exactly like the Dude and is unilaterally down with both Crips and Bloods in Norfolk, VA.
One of his more gifted students was smart, motivated, not swayed by gangs or prone to any sort of violence at all. He just spent his time in jail reading and doing pushups when he could. The other guys, rapists, murderers, drug dealers and senior-level gangsters left this guy to mind his own business, too. Nobody wanted much to do with him.
Turns out this kid was an unrepentant dog-fucker. He'd been locked up for a good while on multiple charges of repeated bestiality. Not just any animals either. This guy was into dogs, and dogs only.
He'd just been denied parole an hour before, and was humming to himself and reading 'Macbeth' at a picnic table in the exercise yard when Clarence caught up with him.
"Damn, son, you got denied AGAIN?" Clarence asked. "In case you haven't noticed, this is jail, man. What are you saying in these hearings that's keeping you here?"
It's not like the people that have parole hearings in the juvenile justice system want to keep kids locked up. They're tossing them a bunch of basic, softball questions so they can get out and try to start their lives up. They ask stuff like:
"So, Mister Dog-Fucker, what's your long-term plan when you get out?"
To which Mister D-F replies "Well, I'm gonna go stay with my aunt for a while, try and get a steady job, just have some kind of structure in my life for a while."
This is good. It shows that the guy values stability, balance, wants to earn a normal income.
"What kind of job, son?"
"Well," Mister D-F replies, "something with animals. I really love being around them. Maybe at an animal shelter or a vet's office, but I think a doggie grooming business would be great. I'd get to give those dogs baths and brush 'em all day..." Here he trailed off. He's pretty much back to square one, if not several squares behind it. Still, the board wants to give him a chance.
"Uhm, okay. What about your short-term plan? What do you want to do the day you walk out of these gates? Are you going to celebrate? How?"
"Well," D-F says, "I just can't wait to get home and play with my dog."
"What, like take him for a big long walk, or a game of frisbee," the board asks, all silently thinking PLEASE FOR GOD'S SAKE.
"Not especially. I just want to wrestle him. you know, just get my shirt off and get right down there on the floor with him and really roughhouse..." Again, the trailing off.
The stamp drops a red DENIED on D-F's papers with lightning speed. D-F grabs a copy of Macbeth and hits the exercise yard, where Clarence found him.
"Dude, it's bad enough that you like fucking dogs, but what really concerns me is that you can't even lie about it for twenty minutes so you can have your freedom," Clarence said.
"Well, Mister Clarence," D-F explained, "It's like this. There's nothing really wrong with me at all. This is me, it's who I am. It's how I love. Any problem society has with it is society's problem. If I can't be free to express my love and desire the way I want, then I might as well be in prison anyway."
As perverse and disgusting as this is, I admire this kid's convictions. He has an internal compass, and although the needle is bent like a French curve, he's following that thing due North. It's his compass and his needle, and his concept of North, but he's going there no matter what, even if he is going it alone.
I really, really think he's wrong, but I like that confidence. Unfortunately, this guy's hard drive is going to have to be totally wiped clean for him to ever interact with the world, which may take that ridiculous, ass-backward nobility with it.
I like the phrase "unrepentant dog-fucker" too. It's someone who is so wrong, so utterly, completely and totally a four-flushing puckered asshole ... who's totally convinced that he's not. He thinks he's just fine, and everyone else need to deal with it.
I can't wait to call someone an unrepentant dog-fucker. It's such a final, finishing, burn-the-bridge-then-blow-it-up phrase. Once you deploy that sucker, the show's over.
I may not call anyone an unrepentant dog-fucker at tonight's DC Blogger happy hour at Eyebar, but that doesn't mean there won't be any contenders in the crowd. Then again, once I get enough drinks in me in the company of the bloggers I do like, I may well get to test this sucker out on a blogger I don't. And with that, I can honestly say that I'm looking forward to seeing every last one of you tonight ...
A few weeks ago, one of my Australian friends called. She'd read that I was going to see Wolfmother at the Black Cat tonight and had a few words to say about it.
"Listen, this isn't just some fucking pissweak indie band like you see at the fucking Black Cat, right? These fuckas, they don't stand there in their high-water pants and just you know, look at their fucking shoes and sort of apologize for having a sex drive in between their songs about their ex fucking girlfriends. This is a rehearsed band, like Led fucking Zeppelin or Sabbath -- this is real rock music, right, so get yourself ready!"
She may have cursed a little more, but you get the point. And as it turns out, she wasn't exaggerating at all. Wolfmother rocked like no band I've ever seen before, and doubt I'll see again. Their music is thundering, trippy, and completely lacking any sort of self-conscious irony.
I had to buy tickets from a Craigslist scalper. He ran the price of the sold-out show up to $30 per ticket, which stung -- but not so bad that I wanted to miss the show. But still: why only raise a ticket price 15 bucks?
Is it a jerk move to buy tickets for resale? And at such a tiny profit margin? I mean, I paid it willingly, so I can't blame him too much ... I was part of the supply and demand equation. And I got an AWESOME experience out of it. The next time Wolfmother comes to DC, they'll be packing out the 930 club for two shows in a row. Or playing the Nissan Pavilion. They're heading up there, and fast.
They have moves, real moves onstage that don't feel like pre-rehearsed moves, moves that heighten the drama and FUN of big, HUGE loud rock music. Lingering arms in the air, giant handclaps, beckoning the crowd to give it up with applause and shouts right before the band slams back in from a pseudo-Floyd instrumental break -- these moves aren't just showbiz -- they're the real rock stuff, heightened for maximum effect.
Wolfmother does what Aussie bands do best: they don't innovate anything at all, just take pre-existing sounds and ideas and max them out, making them more bad-ass than you can imagine. Look at AC/DC, INXS, the Vines: not inventors -- just refiners of serious badassery. Wolfmother plays music reminiscent of the first wave of heavy metal -- Sabbath, Zeppelin, Cream, Deep Purple -- with a bit of Pink Floyd in there for measure. But the thing is, all those bands showed their blues influences. Wolfmother is definitely in line with that awesome musical lineage -- but shows no direct influence of the blues whatsoever.
The crowd was perfect. Everyone was there, including That Dude and all his homeboys. You know That Dude. He goes to all the metal shows, stands up near the front and hits on at least eight of the ten women that ever go to metal shows. He throws his rap until one of his boys show up and they both transform into the That Dude's alter ego: Shirts Off.
That Dude and Shirts Off sure did start a good old-fashioned mosh pit, too. I haven't seen one of those in years, and haven't cared to be in one for even longer -- but knowing that I was at a show with a real live mosh pit and clapping and kids getting passed around... YES.
I think Wolfmother played their whole freaking album, and then some. They did it all so perfectly -- the claps, the big finishes, the encore, and got us out by midnight. Hot damn.
Here's a few videos to tide you over: Woman, and White Unicorn.
I just got back from the grand final round of the DCBee, a local spelling bee for grown people. Mostly hipsters delaying or denying their adulthood, but grown people all the same. Unlike the Scripps-Howard spelling bee, the first ever DCBee at the Warehouse theater boasts live musical entertainment and access to a full bar.
The DCBee's organizers, Nick and Juhi (pictured) crack a lot of jokes. They modify existing example sentences for comic effect, and pronounce spelling words correctly about half the time. In between rounds, an eliminated speller gets out of his chair (a hot commodity in the cramped, packed theater) and takes drink orders from Nick and Juhi, the contestants, and anyone in the front few rows who offers up money for their drink. One of the final rounds was delayed because a speller was in the bathroom. "I have to pee," she announced right after her word, and hopped right off the stage to presumably do just that. A woman performed a well-rehearsed and FUNNY rap about the spelling bee... the crowd got right into the call-and response.
Narky naysayers and spelling bee highbrows might take umbrage at the relaxed goofing in the room, but this bee is about much more than spelling. It's about community -- celebrating the nerdy, the obsessive, the silly and the fun. It would be easy to dismiss the DCBee as an event for twenty and thirtysomething hipsters, although there were a number of fresh faces who showed up out of a love of spelling and language.
But look at who current hipsters are: they're culturally critical, savvy, intellectual people who like using their brains. Sure, the clothes can be obvious and the music pretentious -- but using you brain is FUN, and doing it around a bunch of friendly new people is even more fun.
One Belushi-built guy of Indian descent wore a massive pair of sunglasses a la Bobby Fischer in his heyday. He took a cocky stance, posing for photos onstage and frequently swigging from a beer. When one of the audience's hecklers nailed him, he dramatically removed his giant shades, saying "who said that!" to reveal another pair underneath.
There was an abundance of heckling at the Bee tonight, actually. Some of it was actually funny, but mostly it was an attempt to outshine the people in the spotlight. It's tough to pull off, and for every laugh a heckler gets five people quietly think he's an asshole.
Such was the case when one gentleman jumped up and shouted "I have a note to pass to the judges concerning the integrity of this competition." My friend Nate was on the mike at the time. Full disclosure: I was pulling for Nate pretty hard. I was actually holding flowers to throw at his feet when he got his next word right.
It seems that Nate spelled a word incorrectly, and the judges missed it. Fair game, I say -- when a ref misses a call, them's the breaks. These guys felt differently. They wanted to go so far as to have one of the evening's videographers run a tape back for proof. Nat got flustered. He's a shy man, and standing behind a mike under hot lights and spelling already had him at his threshold. This pushed him over.
Nate got his next word wrong on a clumsy flub, mistaking a critical 'c' for a commonplace 'k'. Everyone cheered for him anyway. Somebody shouted "Spell 'WHAT A BUNCH OF DICKHEADS" Nate!"
At another point in the show, a woman with pink streaks through her blond hair shouted "THIRD GRADE VOCAB!" right as a finalist was spelling. That finalist was none other than the eventual third place winner, Michelle Robison. Michelle stopped for a second, pulled it together, and got the word right anyway.
I asked Michelle how she felt about heckling.
"I know I had some hecklers. I just try not to listen to haters. I was just up there to spell... that's all I wanted. People just heckle because they are just mad they're not on stage anyway. Or they're drunk. Or both."
Ryan Kailath, the grand prize winner, was just there to spell, too. "I love spelling," he said. "I'm a big word nerd."
"I got into the Bee on a lightning round a few weeks ago," Kailath says. "I hadn't officially entered, but I just jumped up on stage and elbowed in. You had to have some kind of talent to share to participate in the lightning round, and I couldn't think of anything. Juhi made me take my shirt off. She said that would be enough for her. So I had only lived in DC for a month and I was standing there in a room full of strangers with my shirt off, and I got real, real nervous. I had been drinking. Then I spelled 'deciduous' wrong, but I got to stay in anyway. Now I'm here, and I won!"
Owls and Crows took the stage after the Bee closed and ripped it up with some dirty, loud classic rock. Man, I love that stuff. It's nothing new, and it's not technically difficult -- but it's like soul food -- it looks easy but it's hard to do just right.
So yeah: spelling, heckling, some loud rock music and home by twelve on a Monday night -- tell me, what's not awesome about that?
All my friends over thirty have always seemed really cool, but I always felt like there was some invisible doorway they had passed through that had conferred them a certain painful wisdom.
Like: nobody ever tells you this, but on the exact moment that you turn thirty, your entire skeleton comes out through one nostril and your skin collapses in a heap on the floor. As soon as the pain subsides, the skeleton puts itself right back into place, entering through the other nostril. Or: you fall deeply in love the morning of your thirtieth, and are cruelly dumped right after bedtime. Neither of those things happened to me on Tuesday, I am pleased to report.
I definitely feel like I squandered a lot of my twenties. There's nothing I regret doing, but a lot of things I regret not doing. I feel like I spent a lot of time waiting for permission to live my life while I scraped by on nothin' with no hope for much more in sight.
I beat myself up a lot, if you haven't noticed, particularly creatively. I read like whales eat plankton. I usually devour music the same way. If I had a quarter for every amazing book/album by an under-30 wunderkind who's made a shit-ton and gotten a movie deal/place in the annals of pop history while fulfilling himself creatively, I sure as hell wouldn't have had to play my little trick on the soda machine in the laundry room tonight to dry my bedsheets.
But that's just the dark whinging part of it. The weekend preceding the day itself was like a commercial for birthday weekends. It was that fantastic. I flew to Boston to hang out with two of my best friends and spent most of my waking hours with a drink in one hand and a superlative sandwich in the other.
-- What comes next are calculated molecules, not part of the entry --
=====
(1)
{
  "formula": "C33H31BCo2O9S",
  "method": "the ωB97M-V functional and the def2-TZVPD basis",
  "symbols": ["C", "O", "C", "C", "C", "C", "B", "C", "C", "C", "C", "C", "S", "O", "C", "C", "C", "C", "C", "C", "O", "C", "C", "H", "H", "H", "H", "H", "H", "H", "H", "H", "H", "H", "H", "H", "H", "H", "H", "H", "H", "H", "H", "H", "H", "H", "H", "O", "C", "Co", "C", "O", "C", "O", "C", "C", "C", "C", "C", "C", "C", "C", "C", "Co", "C", "O", "C", "O", "C", "O", "H", "H", "H", "H", "H", "H", "H"],
  "positions_angstrom": [[-0.039, -5.050, -4.314], [-0.963, -3.935, -4.407], [-0.983, -3.017, -3.401], [-1.877, -1.929, -3.542], [-1.974, -0.973, -2.548], [-1.224, -1.100, -1.382], [-1.546, 0.010, -0.280], [-0.753, -1.183, 1.498], [-0.890, -0.697, 2.796], [-1.602, -1.547, 3.696], [-2.338, -2.524, 3.057], [-3.192, -3.551, 3.703], [-2.117, -2.401, 1.341], [-0.805, 1.126, 0.049], [-1.734, 2.149, 0.474], [-1.302, 2.683, 1.814], [-1.624, 3.238, -0.584], [-3.159, 1.431, 0.534], [-3.712, 1.163, 1.913], [-4.235, 2.131, -0.270], [-2.908, 0.120, -0.010], [-0.344, -2.170, -1.244], [-0.158, -3.096, -2.260], [-0.319, -5.687, -5.154], [0.999, -4.704, -4.428], [-0.151, -5.602, -3.368], [-2.438, -1.824, -4.472], [-2.631, -0.111, -2.684], [-0.337, 0.140, 3.177], [-1.580, -1.453, 4.771], [-2.623, -4.069, 4.495], [-4.081, -3.102, 4.180], [-3.526, -4.297, 2.964], [-1.997, 3.462, 2.148], [-1.255, 1.904, 2.580], [-0.305, 3.101, 1.723], [-2.316, 4.058, -0.356], [-0.600, 3.634, -0.597], [-1.823, 2.854, -1.595], [-3.929, 2.112, 2.423], [-4.649, 0.602, 1.796], [-3.027, 0.532, 2.491], [-4.466, 3.108, 0.172], [-3.925, 2.274, -1.307], [-5.154, 1.539, -0.235], [0.250, -2.290, -0.344], [0.608, -3.870, -2.173], [7.049, -0.431, -3.215], [6.066, -0.356, -2.618], [4.543, -0.269, -1.697], [5.142, -1.517, -0.597], [5.489, -2.360, 0.106], [4.931, 1.196, -0.797], [5.150, 2.180, -0.237], [2.664, -0.848, -1.266], [1.742, -0.149, -0.502], [1.299, -0.237, 0.804], [1.725, 0.858, 1.659], [2.108, 0.609, 2.991], [2.627, 1.638, 3.778], [2.818, 2.916, 3.242], [2.469, 3.165, 1.913], [1.904, 2.156, 1.142], [2.165, 0.647, -2.111], [3.459, 0.679, -3.399], [3.866, 0.890, -4.471], [2.427, 2.376, -2.042], [2.607, 3.520, -2.066], [0.748, 0.949, -3.093], [-0.176, 1.083, -3.784], [2.547, -1.898, -1.535], [1.179, -1.245, 1.287], [1.944, -0.407, 3.378], [2.884, 1.432, 4.824], [3.228, 3.711, 3.857], [2.618, 4.155, 1.478], [1.534, 2.369, 0.135]],
=====
We went to Mike's Pastry in North End, which sells weapons-grade cannoli. My god, such pastry. The following morning, my best friend since kindergarten, his wife (also an incredibly close friend) and I all sat on the porch drinking espresso, eating these heavenly death-dealing cannoli and talking about the fact that getting waxed by a sniper right then would not be but so bad, really.
After a weekend spent marinating in Boston's book shops, record stores, and comic book shops (the three lenses through which I view all places), I flew home, feeling loved and went out to have a massive Italian meal with fifteen or so great friends, chased it with a Grand Marnier and awoke the next day with breath full of sulfites, garlic, and basil byproducts. That's a man's breath, right there.
So yeah -- this whole being a grownup thing, it's not without its benefits. I feel like I've identified a lot of things that are complete bullshit, and decided not to put up with them -- freeing up a lot more time to make my life exactly what the funk I want it to be. Youth, as they say, is wasted on the young. Specifically young people with money.
All the best stories live in the foggy neighborhood between Real and True. In that neighborhood, all the street signs say "And I Am Not Lying, For Real."